OTC Monograph Drug User Fees FY2021 (Temporarily?) Off the Table

January 11, 2021By Riëtte van Laack & Deborah L. Livornese

That did not take long.  As we reported at the end of 2020, FDA announced in a notice the User Fees for OTC Monograph Drug Manufacturers and other fees.  Then on Jan. 6, 2021, HHS announced that the fees are off the table.

What happened?  Well, apparently, the notice about user fees for OTC monograph drug manufacturers took some parties by surprise.  Notably, distilleries and other parties, which, during the pandemic, had started to manufacture badly needed hand sanitizer (a monograph product), learned that their registration as OTC monograph drug manufacturers (a requirement to fall under FDA’s temporary policy) was associated with a significant price ticket that would negate at least some of the benefit (if any) of their (temporary?) move into drug manufacturing.  FDA’s temporary policy makes no mention of possible liability for user fees and many were unaware that these fees might apply to their activities under the policy.

Not long after the notice was published, just before the end of 2020, HHS issued a statement that the action by FDA had not been

cleared by HHS leadership, who only learned of it through media reports . . . HHS leadership convened an emergency meeting  . . . to discuss the matter and requested an immediate legal review. The HHS Office of the General Counsel (OGC) has reviewed the matter and determined that the manner in which the fees were announced and issued has the force and effect of a legislative rule. Only the HHS Secretary has the authority to issue legislative rules.

Calculated powder X-ray diffraction pattern of SmPu4P5 for Cu Ka, from a cell relaxed with GGA-PBE.
Lines closer than 0.1° are merged.

Structural model:
abc: 4.0186 5.6682 20.0391
angles: 90.00 90.00 90.00
Space group Immm (No. 71)
Unique sites:
Sm  0.0000  0.0000  0.0000 (multiplicity 2)
Pu  0.0000  0.0000  0.2014 (multiplicity 4)
Pu  0.0000  0.0000  0.4010 (multiplicity 4)
P  0.0000  0.5000  0.0000 (multiplicity 2)
P  0.0000  0.5000  0.1994 (multiplicity 4)
P  0.0000  0.5000  0.3959 (multiplicity 4)

The 10 most intense peaks (2θ from 10° to 80°), in order of rising 2θ:
Position (°2θ)	I_rel
27.23	1000
31.54	933
45.20	580
45.25	115
53.57	417
56.11	124
56.22	122
65.85	115
72.67	172
74.88	267

~~~~~

Diffraction record for Tm6Co30P19. The XRD peak list is theoretical, not measured: it uses a DFT-relaxed cell (PBE, OQMD) and a wavelength of 1.5418 Å.
Neutral-atom scattering factors, no anomalous dispersion.

Principal peaks in the range 10° ≤ 2θ ≤ 80°, by angle:
2θ (°)	d_spacing	I (rel.)
27.9	3.194	11.1
30.8	2.898	10.5
36.0	2.495	11.8
37.7	2.388	12.5
38.1	2.361	17.6
40.1	2.246	100.0
51.4	1.777	19.4
54.9	1.673	20.2
57.3	1.609	10.1
78.5	1.218	13.8

Cell and atoms:
```
Tm6Co30P19
1.0
14.589 0.000 0.000
-7.294 12.634 0.000
0.000 0.000 3.553
Tm Co P
6 30 19
Cartesian
-1.448 3.458 0.000
-3.576 12.159 0.000
3.570 4.689 1.777
8.743 0.747 1.777
5.024 9.651 0.000
9.570 7.198 1.777
-2.360 5.589 1.777
-4.969 10.323 1.777
-3.631 8.988 0.000
0.900 1.178 0.000
0.839 3.169 1.777
-1.791 8.123 1.777
-0.742 6.429 0.000
2.841 1.630 1.777
1.326 4.996 0.000
-1.356 10.062 0.000
1.155 7.022 1.777
-1.274 11.883 1.777
4.451 2.573 0.000
0.636 10.123 1.777
6.463 1.058 0.000
2.098 8.777 0.000
6.394 3.035 1.777
3.634 7.796 1.777
4.979 6.508 0.000
2.305 11.284 0.000
6.726 5.580 1.777
4.130 11.776 1.777
8.764 4.020 1.777
10.135 2.568 0.000
7.297 7.493 0.000
7.285 9.359 1.777
11.757 1.646 1.777
13.118 0.190 0.000
10.440 5.068 0.000
7.865 11.266 0.000
-0.618 1.492 1.777
-2.872 6.900 0.000
-5.693 12.424 1.777
-0.106 5.188 1.777
-2.749 10.132 1.777
2.256 2.962 0.000
0.000 8.423 0.000
5.041 1.255 1.777
2.754 6.697 0.000
0.117 11.671 0.000
5.692 4.410 0.000
2.854 9.949 1.777
7.924 2.724 0.000
5.861 7.641 1.777
10.896 0.473 0.000
8.268 5.500 0.000
6.312 11.353 1.777
10.981 3.738 1.777
8.731 9.199 0.000
```



Diffraction record for YCo5P3. The XRD peak list is theoretical, not measured: it uses a DFT-relaxed cell (PBE, OQMD) and a wavelength of 1.5418 Å.
Neutral-atom scattering factors, no anomalous dispersion.

Principal peaks in the range 10° ≤ 2θ ≤ 80°, by angle:
2θ (°)	d_spacing	I (rel.)
38.1	2.364	12.6
39.3	2.294	100.0
39.5	2.282	63.1
40.5	2.227	22.3
43.8	2.065	9.9
49.6	1.839	13.4
50.1	1.819	42.0
54.1	1.696	20.6
69.5	1.352	9.2
76.8	1.241	13.9

Cell and atoms:
```
YCo5P3
1.0
11.716 0.000 0.000
0.000 3.639 0.000
0.000 0.000 10.272
Y Co P
4 20 12
Cartesian
2.375 0.910 0.853
3.483 2.729 5.989
8.233 0.910 4.283
9.341 2.729 9.418
0.111 2.729 7.352
0.140 2.729 0.958
0.799 2.729 4.807

This is consistent with the HHS memo from September 2020, which stated that all departmental rules must be signed by the Secretary.

The Jan 6, 2021 Federal Register announcement states that HHS has “ordered FDA to cease collections activities related to the Over-the-Counter Monograph User Fee Program (‘OMUFA’) until, with the approval of the Secretary, the Department issues further direction concerning FDA’s administration of OMUFA which provides the public with notice and opportunity for comment.”  The latter is somewhat surprising as other user fee programs have not been treated as rules and the setting of annual fees has not been subject to notice and comment prior to going into effect.

Since the user fees are an essential component of the OTC monograph reform program, a new notice (with opportunity to comment this time) can be expected.  It seems that the monograph system’s long history of delay is not yet over.